## Material
/*
Entry 1:
## NbPO5 (PBE)

Data for a relaxed structure of NbPO5.

Lattice parameters (Å, degrees): 6.513 6.513 4.213 90.00 90.00 90.00
Atoms (fractional coordinates):
Nb  0.500  0.000  0.223
Nb  0.000  0.500  0.777
P  0.000  0.000  0.500
P  0.500  0.500  0.500
O  0.000  0.807  0.710
O  0.000  0.193  0.710
O  0.000  0.500  0.200
O  0.500  0.000  0.800
O  0.693  0.500  0.710
O  0.307  0.500  0.710
O  0.193  0.000  0.290
O  0.500  0.307  0.290
O  0.500  0.693  0.290
O  0.807  0.000  0.290

Summary:
The calculation puts the energy relative to the lowest polymorph listed for this composition at 23 meV per atom. The magnetization comes out at 0.00 μB per atom. Its space group is P4/nmm.


Entry 2:
## La7Ru3 (PBE)

Data for a relaxed structure of La7Ru3.

Lattice parameters (Å, degrees): 6.760 7.414 23.776 90.00 90.00 90.00
Atoms (fractional coordinates):
La  0.318  0.819  0.175
La  0.182  0.319  0.325
La  0.682  0.181  0.675
La  0.818  0.681  0.825
La  0.682  0.181  0.825
La  0.818  0.681  0.675
La  0.318  0.819  0.325
La  0.182  0.319  0.175
La  0.319  0.830  0.024
La  0.181  0.330  0.476
La  0.681  0.170  0.524
La  0.819  0.670  0.976
La  0.681  0.170  0.976
La  0.819  0.670  0.524
La  0.319  0.830  0.476
La  0.181  0.330  0.024
La  0.857  0.683  0.250
La  0.643  0.183  0.250
La  0.143  0.317  0.750
La  0.357  0.817  0.750
La  0.851  0.950  0.115
La  0.649  0.450  0.385
La  0.149  0.050  0.615
La  0.351  0.550  0.885
La  0.149  0.050  0.885
La  0.351  0.550  0.615
La  0.851  0.950  0.385
La  0.649  0.450  0.115
Ru  0.471  0.519  0.250
Ru  0.029  0.019  0.250
Ru  0.529  0.481  0.750
Ru  0.971  0.981  0.750
Ru  0.029  0.621  0.095
Ru  0.471  0.121  0.405
Ru  0.971  0.379  0.595
Ru  0.529  0.879  0.905
Ru  0.971  0.379  0.905
Ru  0.529  0.879  0.595
Ru  0.029  0.621  0.405
Ru  0.471  0.121  0.095

Summary:
The magnetization comes out at 0.00 μB per atom. Its space group is Pnma.


Entry 3:
## Li3Hg (PBE)

Data for a relaxed structure of Li3Hg.

Lattice parameters (Å, degrees): 5.876 5.876 4.770 90.00 90.00 120.00
Atoms (fractional coordinates):
Li  0.171  0.341  0.250
Li  0.659  0.829  0.250
Li  0.171  0.829  0.250
Li  0.829  0.659  0.750
Li  0.341  0.171  0.750
Li  0.829  0.171  0.750
Hg  0.333  0.667  0.750
Hg  0.667  0.333  0.250

Summary:
The calculation puts the energy relative to the lowest polymorph listed for this composition at 11 meV per atom. Its space group is P6_3/mmc.


Entry 4:
## VPt2 (PBE)

Data for a relaxed structure of VPt2.

Lattice parameters (Å, degrees): 4.830 4.830 4.830 147.00 133.32 58.35
Atoms (fractional coordinates):
V  0.000  0.000  0.000
Pt  0.660  0.660  0.000
Pt  0.340  0.340  0.000

Summary:
Its space group is Immm.


Entry 5:
## CeSe2 (PBE)

Data for a relaxed structure of CeSe2.

Lattice parameters (Å, degrees): 4.212 8.332 8.417 90.00 90.00 90.00
Atoms (fractional coordinates):
Ce  0.754  0.270  0.375
Ce  0.254  0.730  0.125
Ce  0.246  0.730  0.625
Ce  0.746  0.270  0.875
Se  0.741  0.000  0.625
Se  0.241  0.000  0.875
Se  0.259  0.000  0.375
Se  0.759  0.000  0.125
Se  0.749  0.636  0.875
Se  0.249  0.364  0.625
Se  0.251  0.364  0.125
Se  0.751  0.636  0.375

Summary:
The magnetization comes out at 0.28 μB per atom. Its space group is P2_1/c.


Entry 6:
## YCuPb (PBE)

Data for a relaxed structure of YCuPb.

Lattice parameters (Å, degrees): 4.634 4.634 7.396 90.00 90.00 120.00
Atoms (fractional coordinates):
Y  0.000  0.000  0.999
Y  0.000  0.000  0.499
Cu  0.667  0.333  0.323
Cu  0.333  0.667  0.823
Pb  0.333  0.667  0.229
Pb  0.667  0.333  0.729

Summary:
Its space group is P6_3mc.


Entry 7:
## ZnC2O6 (PBE)

Data for a relaxed structure of ZnC2O6.

Lattice parameters (Å, degrees): 5.410 5.813 8.217 83.70 70.78 62.27
Atoms (fractional coordinates):
Zn  0.087  0.750  0.750
Zn  0.913  0.250  0.250
C  0.536  0.751  0.852
C  0.640  0.749  0.648
C  0.464  0.249  0.148
C  0.360  0.251  0.352
O  0.710  0.744  0.925
O  0.880  0.756  0.575
O  0.290  0.256  0.075
O  0.120  0.244  0.425
*/

## Request
Reproduce the calculation results further up from the first line to the one with "0.481" character by character.

## Done
Entry 1:
## NbPO5 (PBE)

Data for a relaxed structure of NbPO5.

Lattice parameters (Å, degrees): 6.513 6.513 4.213 90.00 90.00 90.00
Atoms (fractional coordinates):
Nb  0.500  0.000  0.223
Nb  0.000  0.500  0.777
P  0.000  0.000  0.500
P  0.500  0.500  0.500
O  0.000  0.807  0.710
O  0.000  0.193  0.710
O  0.000  0.500  0.200
O  0.500  0.000  0.800
O  0.693  0.500  0.710
O  0.307  0.500  0.710
O  0.193  0.000  0.290
O  0.500  0.307  0.290
O  0.500  0.693  0.290
O  0.807  0.000  0.290

Summary:
The calculation puts the energy relative to the lowest polymorph listed for this composition at 23 meV per atom. The magnetization comes out at 0.00 μB per atom. Its space group is P4/nmm.


Entry 2:
## La7Ru3 (PBE)

Data for a relaxed structure of La7Ru3.

Lattice parameters (Å, degrees): 6.760 7.414 23.776 90.00 90.00 90.00
Atoms (fractional coordinates):
La  0.318  0.819  0.175
La  0.182  0.319  0.325
La  0.682  0.181  0.675
La  0.818  0.681  0.825
La  0.682  0.181  0.825
La  0.818  0.681  0.675
La  0.318  0.819  0.325
La  0.182  0.319  0.175
La  0.319  0.830  0.024
La  0.181  0.330  0.476
La  0.681  0.170  0.524
La  0.819  0.670  0.976
La  0.681  0.170  0.976
La  0.819  0.670  0.524
La  0.319  0.830  0.476
La  0.181  0.330  0.024
La  0.857  0.683  0.250
La  0.643  0.183  0.250
La  0.143  0.317  0.750
La  0.357  0.817  0.750
La  0.851  0.950  0.115
La  0.649  0.450  0.385
La  0.149  0.050  0.615
La  0.351  0.550  0.885
La  0.149  0.050  0.885
La  0.351  0.550  0.615
La  0.851  0.950  0.385
La  0.649  0.450  0.115
Ru  0.471  0.519  0.250
Ru  0.029  0.019  0.250
Ru  0.529  0.481  0.750